The Complete 2024 Scorpio Horoscope, Broken Down By Month
With the help of the astrological energy revealed by the 2024 Scorpio horoscope, you have the power to create the life of your dreams.

The past two years have been wrought with personal growth and changes in your romantic perspective as the Nodes of Fate moved through Scorpio and Taurus. This is a cycle that just completed in October of 2023, so as the year begins, the 2024 Scorpio horoscope suggests you may still be getting your footing or even processing all that has occurred along with the greater meaning of events.
Through everything, this process has been about awakening to your true self as you have begun to ask yourself the exciting and often scary question: what do you want from this one precious life? While it may have felt overwhelming at times, this question, which asks you to get clear on what you want, is the key to unlocking the purpose and direction 2024.
Yearly Scorpio horoscope 2024 highlights
The Nodes of Fate have officially left Taurus and Scorpio and are now in the signs of Aries and Libra, which highlights your sixth and twelfth houses. This represents the themes of learning through doing, trying, and believing in yourself even if others don't become paramount to what you will be focusing on. It also asks you to remember that nothing changes in life unless you put in the work to do so, which means instead of just thinking everything will eventually work out in your favor, the universe is asking you to step into the driver's seat of your own life and do the work required to create the life you dream of.
Although there is a focus on learning, work and effort in 2024, Jupiter will shift into Gemini, which will bring a significant move, relocation or a surplus of travel. This also helps you feel more expansive and optimistic, so even if you have to put the work in to make a change, you will feel positive about it as growth becomes your central desire in the year ahead.
The optimistic energy and work-oriented attitude will be beneficial as Pluto spends most of the year in Aquarius, which highlights your fourth house and will bring deep transformation and changes to your family and home life. Everything that Pluto, especially in Aquarius, brings is only about helping you live a life that is more what you want and less what you feel obligated to do.
Pluto in Aquarius tends to get more gradual changes. However, with Jupiter in Gemini, you may find that this is the year when you finally make progress toward the tremendous changes you've been dreaming of.
Best day: Thursday, January 4
The year begins with the influence of Capricorn energy, which rules over your house of communication. Expect important conversations to occur this month, especially those where you will have to speak your truth and even state your intentions for the changes that you're looking to manifest. At the beginning of the month, Mercury, Mars and the New Moon will all light up Capricorn, which is also where Pluto is wrapping up its stay, so you may find that there is a cumulative lesson that arises for you in terms of what the past decade has represented.
Pluto helps to expose the truth, and Capricorn has worked to help you honor your inner truth, along with what you need and want from life. At the same time, it has dismantled those agreements or even contracts you've made with others that were more from obligation or responsibility rather than sincere desire. This was the catalyst phase for what Pluto in Aquarius will hold for you. So it's extremely important to remember that your truth deserves to be spoken, not just so others can support you, but because you are worthy of being your true authentic self.
Best day: Friday, February 16
Pluto will shift into Aquarius at the end of January, prompting February to be a month where the changes you've been considering begin to take shape.
Along with the Sun, Venus and New Moon, the Aquarian energy feels different this time around with Pluto here, and it's going to be bringing up what needs to change or transform in your home and family life. A change is something that often has an abrupt stop or end. However, a transformation is when something is allowed to shift into a new way of being, prompting a brand-new reality to take shape. While some matters in your life may need that hard stop, you should also expect that the majority of your work this year will center around transformation. So you don't need to worry about losing anything or anyone that you care about but still need to let things progress as they're meant to.
February is the month to start genuinely asking yourself what you want from life and begin to write it down. Try to spend time reflecting on one idea for each dream, on how to make it real and focus all your energy on how you can take control of things. This is the purpose of the Nodes of Fate, which will become more pronounced in the next two months.
Still, along with Pluto in Aquarius, this energy isn't just about sitting around hoping one day things will change, but truly stepping into your power and making things happen.
'''
# LiCdAg2H

LiCdAg2H after structural relaxation (GGA-PBE, Alexandria).

## Properties
The value obtained for the total DFT energy (no corrections) is -12.08 eV per cell. Its symmetry is No. 123. The value obtained for the mass density is 7.6 g/cm³.

Cell lengths 4.2323, 4.2323, 4.1059 Å; angles 90.00, 90.00, 90.00 degrees
Last column: nearest neighbours and their distance in Å.
Element x y z (fractional)
Li: 0.0000 0.0000 0.0000  2 H 2.05
Cd: 0.5000 0.5000 0.0000  8 Ag 2.95, 4 Li 2.99
Ag: 0.0000 0.5000 0.5000  2 H 2.12
Ag: 0.5000 0.0000 0.5000  2 H 2.12
H: 0.0000 0.0000 0.5000  2 Li 2.05, 4 Ag 2.12
'''
Best day: Friday, March 22
March brings Pisces season, in which Saturn strengthens in this sign. Pisces rules your fifth house of commitment, marriage, pleasure, joy and creativity. While this energy can bring a meaningful relationship into your life, especially as Mars shifts into Pisces, with the other astrological influences this year, it feels like this is more about you deepening your commitment to make a life based on happiness. Try to prioritize your happiness this month and reflect on how situations look different if you allow yourself to fill your days with more that lights you up rather than dims your spirit.
With a strong Piscean influence this month, you can also practice manifestation rituals about declaring to the world what you are committed to creating. It's also an excellent time to embrace your divine creative muse and think about signing up for a pottery or weaving class. This should also tie into incorporating more joy and remembering that even if the work at times this year is about you, deciding what brings you happiness is still worthwhile.
Best day: Monday, April 8
April will be a significant month to make some tremendous changes in your life and may have you also honoring your boundaries in an immensely important way. April brings Aries season and the new moon solar eclipse in Aries.
This is where the North Node resides as well, which means those themes of learning through doing, trial and error. Practice will be key, along with being able to have faith in something even if others don't believe in it themselves. When it comes to the changes you're seeking, whether it's moving into a new home or having that amazing romantic relationship, you must be able to self-validate and not give up.
This may also be the month when you must start trying to arrange things in your life in your favor. While the universe will always help you, it can only do so much until you first start helping yourself. Return to that list of dreams that you made and the practical steps on how to make them a reality, and now challenge yourself to take a step of action. The new moon solar eclipse in Aries may bring a surprise event or two that will help shake you out of your routine and into something new. Just make sure you're allowing yourself to be flexible enough to receive it because it will be a blessing, just perhaps in disguise.
Best day: Tuesday, May 7
May will be a month of love as the Taurus energy activates your seventh house of relationships. If you've been considering trying dating again, through apps or even taking your friend up on a blind date, this is the time to take a leap of faith. If you've already been in a committed relationship, then May can bring an increase in romance, connection and love. Use this energy to set aside quality time with your partner or even a weekend getaway. Jupiter shifts into Gemini toward the end of the month, perfect for a Memorial Day weekend together.
Taurus energy always brings up positive developments in your relationship, but this is even more important in 2024 because the past two years were about lessons. Now, you're feeling ready and in need of some simple joy and happiness. Even if you are still focused on making some big life changes, don't put love on the back burner for another month, especially in May, because the person who's meant for you — will be able to grow with you.
Best day: Monday, June 3
June brings a focus on moving, purchasing a home or even traveling as Gemini energy activates your eighth house. This is an area that can often help with transformation and even attracting a significant life partner, but with Jupiter here now, it's also about an increase in your positive perspective toward life and really taking charge of your destiny.
Because Pluto in Aquarius is bringing transformation to your home and family, and Jupiter in Gemini can usher in the need or desire to move, you will likely be relocating this year. While moves can occur for a variety of reasons, for you, this is about creating more of a life that is in alignment with your truth and what you want for yourself. If you've been considering a move, this is the perfect time to put your home on the market or even put in an offer on one yourself. Contracts for rentals can even be signed this month as well, and although you will be traveling more frequently next year, it's also about creating a home you don't need a vacation from.
Best day: Friday, July 5
Although Jupiter in Gemini is bringing an increase to your travel opportunities in the year ahead, July is ruled by Cancer energy, which means that energy will be increased this month. Cancer rules over your ninth house of luck, abundance, education and travel, so it's the perfect time to take that summer vacation — or even plan more about that move you've been dreaming of.
July is also a wonderful opportunity to set an intention for approaching life differently and taking charge of creating the luck you seek. While it's never easy to genuinely create a life you are in love with, it is always worth it. You may find yourself having to make a decision this month that others may not agree with or that you must instill boundaries around.
Trust, no matter what you're doing, as long as you can see it as one step toward embracing the process of transformation in your life this year, it will be worth it. You can use the energy of the New Moon in Cancer to set an intention or even make plans for what you are hoping to achieve this year. The only thing to be mindful of is an upcoming Mercury retrograde. You may not want to close on any houses or properties until September once the energy has cleared.
Best day: Wednesday, August 14
August brings your focus to career matters with the Leo energy, which will be intensified as Mercury shifts into Leo as part of its retrograde. Leo rules your tenth house of career and professional aspirations, and while the new moon here will give you a clearer idea of what you need to change in this sector of your life to have it align more deeply, you'll get the chance to implement it in the second half of the month.
As Mercury shifts into Leo during its retrograde, it's a great chance to renegotiate your position, benefits package or work schedule. Use this to reflect on what needs to change to honor more of your truth and bring that quotient of happiness back into your life, and then feel free to advocate for yourself, put in proposals or even apply for new jobs. By the time September rolls around and Mercury is direct, you'll also be able to officially sign anything and know that you are exactly where you are supposed to be professionally.
Best day: Monday, September 2
September carries with it the energy of Virgo, which rules over your eleventh house of community and wishes. As much as you need to do the work yourself this year to change your life in the ways you desire, this is when you need to start reaching out to others for help or support. Even if it's just a girl's night out to relieve some of the stress, it's okay if your biggest focus this month is on spending time with those who are there for you.
You may also find, though, that in the process of transformation within your home and family and the big move Jupiter in Gemini is bringing, you are looking for guidance, suggestions or even help to make your dreams a reality. While the work is yours, it doesn't mean that part of that isn't in connecting with others or even asking if a friend can help with specific tasks that can help you further your dreams. There will always be an exchange of energy, but don't be afraid to ask for help or even just enjoy the company of those you care about this month because a little emotional support can go a long way.
Best day: Thursday, October 17
October ushers in Libra season and a focus on the South Node as well. This represents the theme of learning that you can't rely on things to change if you're not putting in the effort to change them. At the same time, the Aries full moon rises and brings to your attention the idea of learning through taking risks and experimenting that you've been working through all year. You may find yourself needing to take a risk in a new direction this month, protecting your dream and even being able to admit that you need to do things differently to get the outcome you desire. Once the sun shifts into Scorpio, you should feel more confident in moving through whatever is coming to fruition for you from April as the full moon in Aries rises.
While you will make enormous progress this year, remember that the Nodes of Fate and Jupiter both are still working on this area of your life until May of next year. Hence, it's important never to give up and always be willing to re-strategize and approach the situation from a new angle because that may be all you need to find success.
Best day: Sunday, November 3
November brings an interesting focus between yourself and your finances as Scorpio season lights up your first house of self, but Mercury stations retrograde in Sagittarius. Scorpio season kicks off your personal new year, and it should be celebrated as such, especially with a focus on how much more authentically you are living this year as compared to recent ones. You should also feel especially grateful for the risks you took and the opportunities to depart from your comfort zone that were seized. Remember, profound changes take time, but it doesn't mean each moment shouldn't be celebrated along the way.
As Sagittarius' energy begins to filter in and Mercury stations retrograde, activating themes related to wealth, finances, and your self-worth, it's time to make sure that you've really raised the price on who has access to you. This can be done with personal relationships and even that transformation Pluto in Aquarius will be bringing to your home and family. Still, it can also deal with professional matters as well. If you're realizing you should or need to be compensated more greatly for your new career role, use this time to advocate to your supervisor, as it's guaranteed to turn out positively and abundantly for you.
Best day: Sunday, December 1
As the year ends, use the new moon in Sagittarius to mark a new beginning in how you approach the world. While this will help to draw in wealth and abundance to you, it's also about you genuinely embodying what it is you need from others. You can see how you've shifted from the mentality of having to ask or beg others to show up for you and instead can see how much you have always deserved to be given everything you've ever desired.
Mercury will station direct in Sagittarius in the middle of December, so try to take care of any conversations about higher pay or boundaries in your personal life prior to that time. Once direct, you will feel more confident and able to see how positively you have already changed your life and are on the way to doing so even more.
You already knew that 2025 would be a year of dream fulfillment, and while you are beyond the transition year, you now have just wrapped up an era of preparation and rewriting the rules to fit who you are and what you want from life. Now, all that's left is to remember that never again will you ever settle for less than you deserve or give away the power to change your life — when you have always been capable of doing anything you've ever dreamed possible.
Kate Rose is a writer, spiritual astrologist, relationship and life intuitive counselor, and retreat curator.